• Wanted:
The reader should return everything below verbatim.

• Listing:
'''
(1)
Density functional theory data (PBE) for a geometry-optimized Re3Pb3O10 structure.

Cell lengths 16.715, 16.715, 16.715 Å; angles 154.22, 154.22, 36.77 degrees
Positions (direct):
Re 0.000 0.000 0.000
Re 0.000 0.000 0.500
Re 0.000 0.500 0.000
Re 0.168 0.667 0.501
Re 0.333 0.334 0.501
Re 0.333 0.832 0.999
Re 0.334 0.333 0.001
Re 0.500 0.000 0.500
Re 0.666 0.667 0.999
Re 0.667 0.168 0.001
Re 0.667 0.666 0.499
Re 0.832 0.333 0.499
Pb 0.000 0.500 0.500
Pb 0.162 0.164 0.998
Pb 0.164 0.162 0.498
Pb 0.164 0.666 0.002
Pb 0.334 0.836 0.498
Pb 0.500 0.000 0.000
Pb 0.500 0.500 0.000
Pb 0.500 0.500 0.500
Pb 0.666 0.164 0.502
Pb 0.836 0.334 0.998
Pb 0.836 0.838 0.502
Pb 0.838 0.836 0.002
O 0.021 0.771 0.250
O 0.101 0.232 0.248
O 0.101 0.852 0.869
O 0.106 0.356 0.750
O 0.148 0.517 0.248
O 0.148 0.899 0.631
O 0.184 0.434 0.368
O 0.184 0.816 0.750
O 0.201 0.451 0.750
O 0.229 0.979 0.250
O 0.232 0.101 0.748
O 0.232 0.483 0.131
O 0.311 0.561 0.750
O 0.356 0.106 0.250
O 0.434 0.184 0.868
O 0.434 0.566 0.250
O 0.439 0.689 0.750
O 0.451 0.201 0.250
O 0.483 0.232 0.631
O 0.483 0.852 0.252
O 0.517 0.148 0.748
O 0.517 0.768 0.369
O 0.549 0.799 0.750
O 0.561 0.311 0.250
O 0.566 0.434 0.750
O 0.566 0.816 0.132
O 0.644 0.894 0.750
O 0.689 0.439 0.250
O 0.768 0.517 0.869
O 0.768 0.899 0.252
O 0.771 0.021 0.750
O 0.799 0.549 0.250
O 0.816 0.184 0.250
O 0.816 0.566 0.632
O 0.852 0.101 0.369
O 0.852 0.483 0.752
O 0.894 0.644 0.250
O 0.899 0.148 0.131
O 0.899 0.768 0.752
O 0.979 0.229 0.750

Calculated values
DFT formation energy (eV per atom): -1.76
Volume (Å³ per cell): 881.8



(2)
Density functional theory data (PBE) for a geometry-optimized Re3Pb3O10 structure.

Cell lengths 16.771, 16.771, 16.771 Å; angles 154.28, 154.28, 36.69 degrees
Positions (direct):
Re 0.082 0.332 0.250
Re 0.082 0.332 0.750
Re 0.082 0.832 0.750
Re 0.250 0.000 0.250
Re 0.413 0.163 0.750
Re 0.413 0.663 0.250
Re 0.413 0.663 0.750
Re 0.582 0.332 0.250
Re 0.750 0.000 0.250
Re 0.750 0.000 0.750
Re 0.750 0.500 0.750
Re 0.913 0.663 0.250
Pb 0.082 0.832 0.250
Pb 0.244 0.495 0.749
Pb 0.245 0.494 0.249
Pb 0.245 0.996 0.751
Pb 0.418 0.169 0.249
Pb 0.582 0.332 0.750
Pb 0.582 0.832 0.250
Pb 0.582 0.832 0.750
Pb 0.746 0.495 0.251
Pb 0.919 0.169 0.251
Pb 0.919 0.169 0.751
Pb 0.919 0.668 0.749
O 0.060 0.560 0.500
O 0.100 0.100 0.000
O 0.180 0.182 0.617
O 0.180 0.563 0.998
O 0.187 0.687 0.500
O 0.231 0.234 0.383
O 0.231 0.848 0.998
O 0.263 0.150 0.500
O 0.263 0.763 0.113
O 0.281 0.781 0.500
O 0.313 0.313 0.000
O 0.313 0.430 0.498
O 0.313 0.815 0.883
O 0.394 0.894 0.500
O 0.437 0.437 0.000
O 0.513 0.513 0.613
O 0.513 0.900 0.000
O 0.520 0.020 0.500
O 0.531 0.531 0.000
O 0.565 0.182 0.002
O 0.565 0.563 0.383
O 0.598 0.101 0.117
O 0.598 0.481 0.498
O 0.632 0.132 0.500
O 0.644 0.644 0.000
O 0.650 0.150 0.887
O 0.650 0.763 0.500
O 0.727 0.227 0.500
O 0.770 0.770 0.000
O 0.850 0.350 0.500
O 0.851 0.234 0.002
O 0.851 0.848 0.617
O 0.882 0.882 0.000
O 0.900 0.513 0.000
O 0.900 0.900 0.387
O 0.932 0.430 0.117
O 0.932 0.815 0.502
O 0.977 0.977 0.000
O 0.984 0.101 0.502
O 0.984 0.481 0.883

Calculated values
DFT formation energy (eV per atom): -1.76
Volume (Å³ per cell): 886.9



(3)
Density functional theory data (PBE) for a geometry-optimized Re8Pb8O27 structure.

Cell lengths 49.065, 49.065, 49.065 Å; angles 8.75, 8.75, 8.75 degrees
Positions (direct):
Re 0.000 0.000 0.000
Re 0.062 0.062 0.563
Re 0.062 0.563 0.062
Re 0.062 0.563 0.563
Re 0.125 0.125 0.125
Re 0.187 0.187 0.688
Re 0.187 0.688 0.187
Re 0.187 0.688 0.688
Re 0.250 0.250 0.250
Re 0.312 0.813 0.813
Re 0.313 0.313 0.812
Re 0.313 0.812 0.313
Re 0.375 0.375 0.375
Re 0.437 0.437 0.937
Re 0.437 0.937 0.437
Re 0.438 0.937 0.937
Re 0.500 0.500 0.500
Re 0.563 0.062 0.062
Re 0.563 0.062 0.563
Re 0.563 0.563 0.062
Re 0.625 0.625 0.625
Re 0.688 0.187 0.187
Re 0.688 0.187 0.688
Re 0.688 0.688 0.187
Re 0.750 0.750 0.750
Re 0.812 0.313 0.313
Re 0.813 0.312 0.813
Re 0.813 0.813 0.312
Re 0.875 0.875 0.875
Re 0.937 0.437 0.437
Re 0.937 0.438 0.937
'''

• Done:
(1)
Density functional theory data (PBE) for a geometry-optimized Re3Pb3O10 structure.

Cell lengths 16.715, 16.715, 16.715 Å; angles 154.22, 154.22, 36.77 degrees
Positions (direct):
Re 0.000 0.000 0.000
Re 0.000 0.000 0.500
Re 0.000 0.500 0.000
Re 0.168 0.667 0.501
Re 0.333 0.334 0.501
Re 0.333 0.832 0.999
Re 0.334 0.333 0.001
Re 0.500 0.000 0.500
Re 0.666 0.667 0.999
Re 0.667 0.168 0.001
Re 0.667 0.666 0.499
Re 0.832 0.333 0.499
Pb 0.000 0.500 0.500
Pb 0.162 0.164 0.998
Pb 0.164 0.162 0.498
Pb 0.164 0.666 0.002
Pb 0.334 0.836 0.498
Pb 0.500 0.000 0.000
Pb 0.500 0.500 0.000
Pb 0.500 0.500 0.500
Pb 0.666 0.164 0.502
Pb 0.836 0.334 0.998
Pb 0.836 0.838 0.502
Pb 0.838 0.836 0.002
O 0.021 0.771 0.250
O 0.101 0.232 0.248
O 0.101 0.852 0.869
O 0.106 0.356 0.750
O 0.148 0.517 0.248
O 0.148 0.899 0.631
O 0.184 0.434 0.368
O 0.184 0.816 0.750
O 0.201 0.451 0.750
O 0.229 0.979 0.250
O 0.232 0.101 0.748
O 0.232 0.483 0.131
O 0.311 0.561 0.750
O 0.356 0.106 0.250
O 0.434 0.184 0.868
O 0.434 0.566 0.250
O 0.439 0.689 0.750
O 0.451 0.201 0.250
O 0.483 0.232 0.631
O 0.483 0.852 0.252
O 0.517 0.148 0.748
O 0.517 0.768 0.369
O 0.549 0.799 0.750
O 0.561 0.311 0.250
O 0.566 0.434 0.750
O 0.566 0.816 0.132
O 0.644 0.894 0.750
O 0.689 0.439 0.250
O 0.768 0.517 0.869
O 0.768 0.899 0.252
O 0.771 0.021 0.750
O 0.799 0.549 0.250
O 0.816 0.184 0.250
O 0.816 0.566 0.632
O 0.852 0.101 0.369
O 0.852 0.483 0.752
O 0.894 0.644 0.250
O 0.899 0.148 0.131
O 0.899 0.768 0.752
O 0.979 0.229 0.750

Calculated values
DFT formation energy (eV per atom): -1.76
Volume (Å³ per cell): 881.8



(2)
Density functional theory data (PBE) for a geometry-optimized Re3Pb3O10 structure.

Cell lengths 16.771, 16.771, 16.771 Å; angles 154.28, 154.28, 36.69 degrees
Positions (direct):
Re 0.082 0.332 0.250
Re 0.082 0.332 0.750
Re 0.082 0.832 0.750
Re 0.250 0.000 0.250
Re 0.413 0.163 0.750
Re 0.413 0.663 0.250
Re 0.413 0.663 0.750
Re 0.582 0.332 0.250
Re 0.750 0.000 0.250
Re 0.750 0.000 0.750
Re 0.750 0.500 0.750
Re 0.913 0.663 0.250
Pb 0.082 0.832 0.250
Pb 0.244 0.495 0.749
Pb 0.245 0.494 0.249
Pb 0.245 0.996 0.751
Pb 0.418 0.169 0.249
Pb 0.582 0.332 0.750
Pb 0.582 0.832 0.250
Pb 0.582 0.832 0.750
Pb 0.746 0.495 0.251
Pb 0.919 0.169 0.251
Pb 0.919 0.169 0.751
Pb 0.919 0.668 0.749
O 0.060 0.560 0.500
O 0.100 0.100 0.000
O 0.180 0.182 0.617
O 0.180 0.563 0.998
O 0.187 0.687 0.500
O 0.231 0.234 0.383
O 0.231 0.848 0.998
O 0.263 0.150 0.500
O 0.263 0.763 0.113
O 0.281 0.781 0.500
O 0.313 0.313 0.000
O 0.313 0.430 0.498
O 0.313 0.815 0.883
O 0.394 0.894 0.500
O 0.437 0.437 0.000
O 0.513 0.513 0.613
O 0.513 0.900 0.000
O 0.520 0.020 0.500
O 0.531 0.531 0.000
O 0.565 0.182 0.002
O 0.565 0.563 0.383
O 0.598 0.101 0.117
O 0.598 0.481 0.498
O 0.632 0.132 0.500
O 0.644 0.644 0.000
O 0.650 0.150 0.887
O 0.650 0.763 0.500
O 0.727 0.227 0.500
O 0.770 0.770 0.000
O 0.850 0.350 0.500
O 0.851 0.234 0.002
O 0.851 0.848 0.617
O 0.882 0.882 0.000
O 0.900 0.513 0.000
O 0.900 0.900 0.387
O 0.932 0.430 0.117
O 0.932 0.815 0.502
O 0.977 0.977 0.000
O 0.984 0.101 0.502
O 0.984 0.481 0.883

Calculated values
DFT formation energy (eV per atom): -1.76
Volume (Å³ per cell): 886.9



(3)
Density functional theory data (PBE) for a geometry-optimized Re8Pb8O27 structure.

Cell lengths 49.065, 49.065, 49.065 Å; angles 8.75, 8.75, 8.75 degrees
Positions (direct):
Re 0.000 0.000 0.000
Re 0.062 0.062 0.563
Re 0.062 0.563 0.062
Re 0.062 0.563 0.563
Re 0.125 0.125 0.125
Re 0.187 0.187 0.688
Re 0.187 0.688 0.187
Re 0.187 0.688 0.688
Re 0.250 0.250 0.250
Re 0.312 0.813 0.813
Re 0.313 0.313 0.812
Re 0.313 0.812 0.313
Re 0.375 0.375 0.375
Re 0.437 0.437 0.937
Re 0.437 0.937 0.437
Re 0.438 0.937 0.937
Re 0.500 0.500 0.500
Re 0.563 0.062 0.062
Re 0.563 0.062 0.563
Re 0.563 0.563 0.062
Re 0.625 0.625 0.625
Re 0.688 0.187 0.187
Re 0.688 0.187 0.688
Re 0.688 0.688 0.187
Re 0.750 0.750 0.750
Re 0.812 0.313 0.313
Re 0.813 0.312 0.813
Re 0.813 0.813 0.312
Re 0.875 0.875 0.875
Re 0.937 0.437 0.437
Re 0.937 0.438 0.937